Job:
What is needed: restate the whole of the lines further below character by character.
Material:
- - -
Entry 1:
The following is a DFT calculation (GGA+U) of a relaxed Mn6PO12 crystal.

Results
Energy relative to the elements ... -2.05 eV per atom
Total moment ... 23.000 μB per formula unit
Crystal system ... tetragonal
E_tot ... -7.391 eV/atom

abc: 11.6449 11.6449 11.6449
angles: 131.71 131.71 70.69
Last column: nearest neighbours and their distance in Å.
Sites, in units of the cell vectors:
Mn (0.6250, 0.4003, 0.2753)  4 O 1.95-2.01
Mn (0.7702, 0.2702, 0.0403)  4 O 1.97
Mn (0.8750, 0.6250, 0.7500)  4 O 1.91-2.06
Mn (0.5997, 0.8750, 0.2247)  4 O 1.95-2.01
Mn (0.3750, 0.1250, 0.2500)  4 O 1.91-2.06
Mn (0.9798, 0.9798, 0.4597)  4 O 1.97
Mn (0.1250, 0.8497, 0.2247)  4 O 1.95-2.01
Mn (0.2298, 0.7298, 0.9597)  4 O 1.97
Mn (0.0997, 0.8750, 0.7247)  4 O 1.95-2.01
Mn (0.8750, 0.6250, 0.2500)  4 O 1.91-2.06
Mn (0.3750, 0.6250, 0.2500)  4 O 1.91-2.06
Mn (0.5202, 0.5202, 0.5403)  4 O 1.97
Mn (0.7298, 0.7702, 0.5000)  4 O 1.97
Mn (0.3750, 0.6250, 0.7500)  4 O 1.91-2.06
Mn (0.1503, 0.3750, 0.2753)  4 O 1.95-2.01
Mn (0.2702, 0.2298, 0.5000)  4 O 1.97
Mn (0.0202, 0.4798, 0.0000)  4 O 1.97
Mn (0.8750, 0.1250, 0.2500)  4 O 1.91-2.06
Mn (0.4798, 0.0202, 0.0000)  4 O 1.97
Mn (0.3750, 0.1250, 0.7500)  4 O 1.91-2.06
Mn (0.6503, 0.3750, 0.7753)  4 O 1.95-2.01
Mn (0.6250, 0.9003, 0.7753)  4 O 1.95-2.01
Mn (0.8750, 0.1250, 0.7500)  4 O 1.91-2.06
Mn (0.1250, 0.3497, 0.7247)  4 O 1.95-2.01
O (0.4442, 0.6301, 0.9814)  1 P 1.54
O (0.1487, 0.1301, 0.1859)  1 P 1.54
O (0.7819, 0.3051, 0.2387)  3 Mn 1.95-2.06
O (0.4711, 0.4956, 0.3266)  3 Mn 1.91-2.01
O (0.6837, 0.7068, 0.7387)  3 Mn 1.95-2.06
O (0.0551, 0.3163, 0.0232)  3 Mn 1.95-2.06
O (0.7789, 0.6055, 0.5244)  3 Mn 1.91-2.01
O (0.4681, 0.2068, 0.0232)  3 Mn 1.95-2.06
O (0.2789, 0.7544, 0.1734)  3 Mn 1.91-2.01
O (0.7127, 0.3987, 0.5186)  1 P 1.54
O (0.8699, 0.0558, 0.0186)  1 P 1.54
O (0.3058, 0.6199, 0.5186)  1 P 1.54
O (0.5551, 0.5319, 0.7387)  3 Mn 1.95-2.06
O (0.2456, 0.4190, 0.5244)  3 Mn 1.91-2.01
O (0.3945, 0.9190, 0.1734)  3 Mn 1.91-2.01
O (0.1690, 0.1445, 0.6734)  3 Mn 1.91-2.01
O (0.9568, 0.4337, 0.2387)  3 Mn 1.95-2.06
O (0.8801, 0.1942, 0.4814)  1 P 1.54
O (0.3699, 0.3513, 0.8141)  1 P 1.54
O (0.8058, 0.2873, 0.6859)  1 P 1.54
O (0.5044, 0.8310, 0.9756)  3 Mn 1.91-2.01
O (0.9442, 0.9627, 0.8141)  1 P 1.54
O (0.6487, 0.4627, 0.0186)  1 P 1.54
O (0.6013, 0.1199, 0.3141)  1 P 1.54
O (0.2127, 0.6942, 0.3141)  1 P 1.54
O (0.4568, 0.2181, 0.5232)  3 Mn 1.95-2.06
O (0.3801, 0.8987, 0.6859)  1 P 1.54
O (0.1837, 0.4449, 0.9768)  3 Mn 1.95-2.06
O (0.9711, 0.6445, 0.9756)  3 Mn 1.91-2.01
O (0.2932, 0.0319, 0.9768)  3 Mn 1.95-2.06
O (0.1013, 0.7873, 0.4814)  1 P 1.54
O (0.9681, 0.9449, 0.2613)  3 Mn 1.95-2.06
O (0.8945, 0.7211, 0.4756)  3 Mn 1.91-2.01
O (0.1949, 0.7181, 0.7613)  3 Mn 1.95-2.06
O (0.8555, 0.5289, 0.0244)  3 Mn 1.91-2.01
O (0.0663, 0.5432, 0.7613)  3 Mn 1.95-2.06
O (0.0373, 0.8513, 0.9814)  1 P 1.54
O (0.5663, 0.8051, 0.5232)  3 Mn 1.95-2.06
O (0.6949, 0.9337, 0.4768)  3 Mn 1.95-2.06
O (0.0810, 0.2544, 0.4756)  3 Mn 1.91-2.01
O (0.5373, 0.5558, 0.1859)  1 P 1.54
O (0.7456, 0.2211, 0.8266)  3 Mn 1.91-2.01
O (0.5810, 0.1055, 0.8266)  3 Mn 1.91-2.01
O (0.6690, 0.9956, 0.0244)  3 Mn 1.91-2.01
O (0.2819, 0.0432, 0.4768)  3 Mn 1.95-2.06
O (0.7932, 0.8163, 0.2613)  3 Mn 1.95-2.06
O (0.3555, 0.3310, 0.3266)  3 Mn 1.91-2.01
O (0.0044, 0.0289, 0.6734)  3 Mn 1.91-2.01
P (0.7500, 0.2500, 0.5000)  4 O 1.54
P (0.2500, 0.7500, 0.5000)  4 O 1.54
P (0.5000, 0.5000, 0.0000)  4 O 1.54
P (0.0000, 0.0000, 0.0000)  4 O 1.54

=====

Entry 2:
The following is a DFT calculation (GGA+U) of a relaxed Mn2P5O15 crystal.

Results
Energy relative to the elements ... -2.50 eV per atom
Total moment ... 9.000 μB per formula unit
Crystal system ... monoclinic
E_tot ... -7.320 eV/atom

abc: 8.5507 5.4044 13.6347
angles: 71.40 90.00 90.00
Last column: nearest neighbours and their distance in Å.
Sites, in units of the cell vectors:
O (0.4710, 0.2659, 0.9394)  1 P 1.52
O (0.6588, 0.2837, 0.1514)  2 P 1.59-1.63
- - -
Solution:
Entry 1:
The following is a DFT calculation (GGA+U) of a relaxed Mn6PO12 crystal.

Results
Energy relative to the elements ... -2.05 eV per atom
Total moment ... 23.000 μB per formula unit
Crystal system ... tetragonal
E_tot ... -7.391 eV/atom

abc: 11.6449 11.6449 11.6449
angles: 131.71 131.71 70.69
Last column: nearest neighbours and their distance in Å.
Sites, in units of the cell vectors:
Mn (0.6250, 0.4003, 0.2753)  4 O 1.95-2.01
Mn (0.7702, 0.2702, 0.0403)  4 O 1.97
Mn (0.8750, 0.6250, 0.7500)  4 O 1.91-2.06
Mn (0.5997, 0.8750, 0.2247)  4 O 1.95-2.01
Mn (0.3750, 0.1250, 0.2500)  4 O 1.91-2.06
Mn (0.9798, 0.9798, 0.4597)  4 O 1.97
Mn (0.1250, 0.8497, 0.2247)  4 O 1.95-2.01
Mn (0.2298, 0.7298, 0.9597)  4 O 1.97
Mn (0.0997, 0.8750, 0.7247)  4 O 1.95-2.01
Mn (0.8750, 0.6250, 0.2500)  4 O 1.91-2.06
Mn (0.3750, 0.6250, 0.2500)  4 O 1.91-2.06
Mn (0.5202, 0.5202, 0.5403)  4 O 1.97
Mn (0.7298, 0.7702, 0.5000)  4 O 1.97
Mn (0.3750, 0.6250, 0.7500)  4 O 1.91-2.06
Mn (0.1503, 0.3750, 0.2753)  4 O 1.95-2.01
Mn (0.2702, 0.2298, 0.5000)  4 O 1.97
Mn (0.0202, 0.4798, 0.0000)  4 O 1.97
Mn (0.8750, 0.1250, 0.2500)  4 O 1.91-2.06
Mn (0.4798, 0.0202, 0.0000)  4 O 1.97
Mn (0.3750, 0.1250, 0.7500)  4 O 1.91-2.06
Mn (0.6503, 0.3750, 0.7753)  4 O 1.95-2.01
Mn (0.6250, 0.9003, 0.7753)  4 O 1.95-2.01
Mn (0.8750, 0.1250, 0.7500)  4 O 1.91-2.06
Mn (0.1250, 0.3497, 0.7247)  4 O 1.95-2.01
O (0.4442, 0.6301, 0.9814)  1 P 1.54
O (0.1487, 0.1301, 0.1859)  1 P 1.54
O (0.7819, 0.3051, 0.2387)  3 Mn 1.95-2.06
O (0.4711, 0.4956, 0.3266)  3 Mn 1.91-2.01
O (0.6837, 0.7068, 0.7387)  3 Mn 1.95-2.06
O (0.0551, 0.3163, 0.0232)  3 Mn 1.95-2.06
O (0.7789, 0.6055, 0.5244)  3 Mn 1.91-2.01
O (0.4681, 0.2068, 0.0232)  3 Mn 1.95-2.06
O (0.2789, 0.7544, 0.1734)  3 Mn 1.91-2.01
O (0.7127, 0.3987, 0.5186)  1 P 1.54
O (0.8699, 0.0558, 0.0186)  1 P 1.54
O (0.3058, 0.6199, 0.5186)  1 P 1.54
O (0.5551, 0.5319, 0.7387)  3 Mn 1.95-2.06
O (0.2456, 0.4190, 0.5244)  3 Mn 1.91-2.01
O (0.3945, 0.9190, 0.1734)  3 Mn 1.91-2.01
O (0.1690, 0.1445, 0.6734)  3 Mn 1.91-2.01
O (0.9568, 0.4337, 0.2387)  3 Mn 1.95-2.06
O (0.8801, 0.1942, 0.4814)  1 P 1.54
O (0.3699, 0.3513, 0.8141)  1 P 1.54
O (0.8058, 0.2873, 0.6859)  1 P 1.54
O (0.5044, 0.8310, 0.9756)  3 Mn 1.91-2.01
O (0.9442, 0.9627, 0.8141)  1 P 1.54
O (0.6487, 0.4627, 0.0186)  1 P 1.54
O (0.6013, 0.1199, 0.3141)  1 P 1.54
O (0.2127, 0.6942, 0.3141)  1 P 1.54
O (0.4568, 0.2181, 0.5232)  3 Mn 1.95-2.06
O (0.3801, 0.8987, 0.6859)  1 P 1.54
O (0.1837, 0.4449, 0.9768)  3 Mn 1.95-2.06
O (0.9711, 0.6445, 0.9756)  3 Mn 1.91-2.01
O (0.2932, 0.0319, 0.9768)  3 Mn 1.95-2.06
O (0.1013, 0.7873, 0.4814)  1 P 1.54
O (0.9681, 0.9449, 0.2613)  3 Mn 1.95-2.06
O (0.8945, 0.7211, 0.4756)  3 Mn 1.91-2.01
O (0.1949, 0.7181, 0.7613)  3 Mn 1.95-2.06
O (0.8555, 0.5289, 0.0244)  3 Mn 1.91-2.01
O (0.0663, 0.5432, 0.7613)  3 Mn 1.95-2.06
O (0.0373, 0.8513, 0.9814)  1 P 1.54
O (0.5663, 0.8051, 0.5232)  3 Mn 1.95-2.06
O (0.6949, 0.9337, 0.4768)  3 Mn 1.95-2.06
O (0.0810, 0.2544, 0.4756)  3 Mn 1.91-2.01
O (0.5373, 0.5558, 0.1859)  1 P 1.54
O (0.7456, 0.2211, 0.8266)  3 Mn 1.91-2.01
O (0.5810, 0.1055, 0.8266)  3 Mn 1.91-2.01
O (0.6690, 0.9956, 0.0244)  3 Mn 1.91-2.01
O (0.2819, 0.0432, 0.4768)  3 Mn 1.95-2.06
O (0.7932, 0.8163, 0.2613)  3 Mn 1.95-2.06
O (0.3555, 0.3310, 0.3266)  3 Mn 1.91-2.01
O (0.0044, 0.0289, 0.6734)  3 Mn 1.91-2.01
P (0.7500, 0.2500, 0.5000)  4 O 1.54
P (0.2500, 0.7500, 0.5000)  4 O 1.54
P (0.5000, 0.5000, 0.0000)  4 O 1.54
P (0.0000, 0.0000, 0.0000)  4 O 1.54

=====

Entry 2:
The following is a DFT calculation (GGA+U) of a relaxed Mn2P5O15 crystal.

Results
Energy relative to the elements ... -2.50 eV per atom
Total moment ... 9.000 μB per formula unit
Crystal system ... monoclinic
E_tot ... -7.320 eV/atom

abc: 8.5507 5.4044 13.6347
angles: 71.40 90.00 90.00
Last column: nearest neighbours and their distance in Å.
Sites, in units of the cell vectors:
O (0.4710, 0.2659, 0.9394)  1 P 1.52
O (0.6588, 0.2837, 0.1514)  2 P 1.59-1.63